Thursday, December 21, 2006


YIKES..... 30+ hours with continuous snow. Does not look like we will be getting out today, or tomorrow... and things do not look good for Christmas Eve either. LUCKILY gifts are bought for the kids, and the adults have decided to hang IOU's on the tree because it looks doubtful we will get out to get the remainder of shopping done. Here is a picture of my son, Brian, making a feeble attempt to dig out of our driveway. Even with a fairly large snow blower, it was slow going. He would like to get to his house sometime before Christmas.


The city puts lights on all the trees in the medians in our neighborhood at Christmas. They are lit the weekend before Thanksgiving. Big celebration in conjuction with the annual lighting of the star on the "Castle Rock". The lights are kept on until after the Stock Show in January... which is a big event in the cowboy counry of Colorado. Blasted snow really did make the lights look quite beautiful.

Wednesday, December 20, 2006

It's Beginning to Look A Lot Like Chritmas

Horrid blizzard here today. Brian got as far as our house this morning and is stranded here. Ain't nothing going nowhere. We are hoping we can get out before Christmas Eve..... or we will be having tv dinners and SNOW for dessert. Very Thankful we aren't the poor people who are stranded at the airport (which is running out of food). Or the people stranded on the highway and have run out of gas. This is supposed to let up tomorrow afternoon.... in the meantime snow is piling up. Very bad conditions.... but we are all safe, warm and have plenty of food. Life is good!!!!

Friday, December 15, 2006


I could not resist posting a picture of the Elf, Edna made me in my "secret ELF Swap" group.

The picture really does not do it justice. It's 12 -14 inches tall and has the cutest face and rosy cheeks. It's so adorable. Thank you Edna!!!! Now to NAME THAT ELF!!!!

Another new treasure for my tree is this beaded Fairy, ROAK'd to me by Janice (the Homely) in my FGM group. Thank you so much Janice. She is a delight. btw- for those who don't know.... "The Homely" is a term of endearment bestowed on Janice by her family. I'm not just being mean. I use "the Homely" with the utmost respect and admiration.

'Tis turning out to be a wonderful Holiday season. I have been elfed and roak'd and thoroughly enjoyed the experience. My blind man (who really sees quite well) seems to have found a solution (after 3 months of continuous attempts) to the window covering in an arched window that just would not fit properly. YIPPEEE!!!!

Everyone will be here for Christmas Eve to EAT, track Santa on NORAD, EAT, play our annual family pool/air hocky/dart/poker tournaments, EAT, open presents. DId I mention we will EAT too??? My son whose hobby is gourmet cooking..... will do the honors of cooking our traditional Christmas Eve smorgasboard feast. YUMM!!!!!

My Christmas shopping is all wrapped up.... literally!!! tags, bows and everything. Still have a couple things to pick up for hubby..... but the kids are going to help me with that next week.

10 days and counting
until we hear "HO HO HO" and the
prancing and pawing of tiny hooves on the rooftop.

Thursday, December 14, 2006


I normally do not participate in political discussions. You can't change anyone's mind and it only leads to hard feelings. HOWEVER, I have made an acception. The post below was sent to me and I feel very strongly on this topic. If you find this offensive.... I won't apologize.

Dad, this one is for you.

Tuesday, December 12, 2006


This is a Christmas tree.

********
Computed X-ray diffraction stick pattern
Compound: Co2Mo3O8
Radiation: Cu Kα, 1.54184 Å
Structure: a GGA+U-relaxed structure

Largest 12 diffraction maxima, in order of rising 2θ, 2θ from 10° to 90°:
- 2θ = 17.70°, 5.010 Å, I = 73, (0 0 2)
- 2θ = 24.95°, 3.569 Å, I = 100, (1 0 2)
- 2θ = 32.06°, 2.792 Å, I = 39, (1 0 3)
- 2θ = 35.30°, 2.542 Å, I = 27, (2 0 0)
- 2θ = 35.44°, 2.533 Å, I = 77, (1 1 2)
- 2θ = 36.46°, 2.464 Å, I = 88, (2 0 1)
- 2θ = 44.80°, 2.023 Å, I = 46, (2 0 3)
- 2θ = 51.19°, 1.784 Å, I = 26, (2 0 4)
- 2θ = 55.13°, 1.666 Å, I = 40, (2 1 3)
- 2θ = 57.39°, 1.606 Å, I = 23, (3 0 2)
- 2θ = 58.66°, 1.574 Å, I = 58, (2 0 5)
- 2θ = 63.36°, 1.468 Å, I = 36, (2 2 0)

Structural model:
abc: 5.8714 5.8714 10.0209
angles: 90.00 90.00 120.00
Element x y z (fractional)
Co (0.3333, 0.6667, 0.0000)
Co (0.3333, 0.6667, 0.4313)
Co (0.6667, 0.3333, 0.5000)
Co (0.6667, 0.3333, 0.9313)
Mo (0.1460, 0.2920, 0.7335)
Mo (0.1460, 0.8540, 0.7335)
Mo (0.2920, 0.1460, 0.2335)
Mo (0.7080, 0.8540, 0.7335)
Mo (0.8540, 0.1460, 0.2335)
Mo (0.8540, 0.7080, 0.2335)
O (0.0000, 0.0000, 0.3767)
O (0.0000, 0.0000, 0.8767)
O (0.0243, 0.5122, 0.8494)
O (0.1680, 0.3361, 0.1167)
O (0.1680, 0.8320, 0.1167)
O (0.3333, 0.6667, 0.6282)
O (0.3361, 0.1680, 0.6167)
O (0.4878, 0.5122, 0.8494)
O (0.4878, 0.9757, 0.8494)
O (0.5122, 0.0243, 0.3494)
O (0.5122, 0.4878, 0.3494)
O (0.6639, 0.8320, 0.1167)
O (0.6667, 0.3333, 0.1282)
O (0.8320, 0.1680, 0.6167)
O (0.8320, 0.6639, 0.6167)
O (0.9757, 0.4878, 0.3494)



Computed X-ray diffraction stick pattern
Compound: CoMo4O15
Radiation: Cu Kα, 1.54184 Å
Structure: a GGA+U-relaxed structure

Largest 12 diffraction maxima, in order of rising 2θ, 2θ from 10° to 90°:
- 2θ = 12.57°, 7.040 Å, I = 27, (0 1 0)
- 2θ = 17.34°, 5.115 Å, I = 43, (0 1 1)
- 2θ = 20.36°, 4.362 Å, I = 43, (1 1 0)
- 2θ = 22.08°, 4.025 Å, I = 100, (1 -1 1)
- 2θ = 25.52°, 3.491 Å, I = 51, (1 1 -1)
- 2θ = 27.13°, 3.287 Å, I = 63, (0 1 2)
- 2θ = 30.80°, 2.903 Å, I = 31, (1 2 1)
- 2θ = 32.09°, 2.789 Å, I = 19, (1 0 -2)
- 2θ = 44.70°, 2.027 Å, I = 21, (0 2 3)
- 2θ = 45.04°, 2.013 Å, I = 23, (2 -2 2)
- 2θ = 45.45°, 1.996 Å, I = 25, (2 2 -1)
- 2θ = 51.54°, 1.773 Å, I = 19, (3 1 0)

Structural model:
abc: 5.6162 7.0416 7.6283
angles: 89.55 76.77 88.72
Element x y z (fractional)
Co (0.0000, 0.0000, 0.0000)
Mo (0.1278, 0.6580, 0.6091)
Mo (0.4473, 0.6928, 0.1819)
Mo (0.5527, 0.3072, 0.8181)
Mo (0.8722, 0.3420, 0.3909)
O (0.0439, 0.8295, 0.7861)
O (0.1299, 0.1785, 0.4928)
O (0.1549, 0.5051, 0.3526)
O (0.2169, 0.8225, 0.1042)
O (0.2974, 0.1637, 0.8907)
O (0.3302, 0.5022, 0.6971)
O (0.3584, 0.7903, 0.4317)
O (0.5000, 0.5000, 0.0000)
O (0.6416, 0.2097, 0.5683)
O (0.6698, 0.4978, 0.3029)
O (0.7026, 0.8363, 0.1093)
O (0.7831, 0.1775, 0.8958)
O (0.8451, 0.4949, 0.6474)
O (0.8701, 0.8215, 0.5072)
O (0.9561, 0.1705, 0.2139)



Computed X-ray diffraction stick pattern
Compound: CoP3NO9
Radiation: Cu Kα, 1.54184 Å
Structure: a GGA+U-relaxed structure
********

It is not a Hanukkah bush,
it is not an Allah plant,
it is not a Holiday hedge.
It is a Christmas tree.
Yes, Christmas and a celebration of the
Birth of Jesus Christ!


You fled your country and came to ours, because you

believed in what AMERICA stands for.

This includes our beliefs, our customs and our rights.

We will not allow you.... our GUEST.... to take those away from us.

If you find our traditions offensive.... GO HOME!!!!

The HEARTLAND of AMERICA will fight to perserve our rights, beliefs, customs and traditions.




For those who agree......
now let's go hang a NO VACANCY sign on the Statue of Liberty

Saturday, December 09, 2006


Sometimes it takes facing the bad times head on...before you can appreciate the joys around you. With the support of wonderful friends we are dealing with Norma's decline. She is a fighter ...... and is not going to give up until she is ready. We spend as much of our time with her as possible..... and she seems to be enjoying the attention. She seems determined to see another Christmas.

Now on to the GOOD THINGS.

Spent the day at a local tree nursery, where Santa was visiting. Outside as you walked among the acres of Christmas pines, they had chesnuts roasting over an open fire, hot cider, hot dogs, hay rides (pulled by the biggest John Deere I have ever seen). Inside was roasted peanuts, hot cocoa 30 decorated trees, each with a different theme. A train set up complete with ice rink, tunnels, ski slopes and chair lifts..... and of course, SANTA.

Here is my little reinDEER, chatting with Santa, so we could get some light readings. Sometimes you don't know what the set up is going to be... and you just have to make the best of it. Shop filled with beautifully decorated, goregously lit trees and they put Santa in a sleigh in dire need of a paint job in the middle of bare trees. He was such a great Santa tho, nobody seemed to even notice the shabby set up. My granddaughter (who sees many Santa's during the holidays) is sure THIS ONE is the real Santa. He also added to his authenticity by bringing along Comet, Cupid, Donner and Blitzen.... who were all in a pen outdoors in the fresh tree area.

**Crystal structures from another source follow:**
This entry pairs a crystal structure of K2SeS3O7 with its simulated XRD peak list. Radiation: Cu Kα X-rays. Structure: the GGA-PBE geometry in the Materials Project.
Lines closer than 0.1° are merged.

Principal peaks in the range 5° ≤ 2θ ≤ 70°, low angle first:
h k l, 2theta, d (Å), I_rel
0 2 1, 12.99, 6.814, 100
1 2 1, 20.39, 4.355, 48
1 3 -1, 22.81, 3.899, 39
1 0 -2, 24.14, 3.686, 27
1 0 2, 24.32, 3.661, 39
1 1 -2, 24.58, 3.621, 30
0 4 2, 26.15, 3.407, 55
0 6 0, 27.74, 3.216, 58
1 3 -2, 27.91, 3.197, 32
1 3 2, 28.05, 3.181, 42
0 2 3, 29.32, 3.046, 46
2 0 0, 31.47, 2.843, 28

Crystal structure
```
data_K2SeS3O7
_cell_length_a 5.686
_cell_length_b 19.296
_cell_length_c 9.626
_cell_angle_alpha 90.00
_cell_angle_beta 90.42
_cell_angle_gamma 90.00
_space_group_name_H-M_alt 'P 1 21/c 1'
_space_group_IT_number 14
loop_
_space_group_symop_operation_xyz
'x,y,z'
'-x,-y,-z'
'-x,y+1/2,-z+1/2'
'x,-y+1/2,z+1/2'
loop_
_atom_site_label
_atom_site_fract_x
_atom_site_fract_y
_atom_site_fract_z
K1 0.143 0.107 0.499
K2 0.298 0.746 0.344
Se1 0.278 0.103 0.961
S1 0.223 0.216 0.868
S2 0.360 0.580 0.592
S3 0.367 0.550 0.815
O1 0.003 0.238 0.932
O2 0.154 0.507 0.820
O3 0.158 0.615 0.246
O4 0.203 0.206 0.716
O5 0.344 0.615 0.893
O6 0.410 0.015 0.662
O7 0.431 0.244 0.409
```
**End of the crystal structures:**


We sent out several packages for the ANY SOLDIER program and we have gotten WONDERFUL responses back. These boys are so grateful just to know we appreciate their bravery and their service to our country. They are so very grateful for a little taste of home. No matter if we support the war... or think this has gotten out of hand .... we need to support our boys. They have sent Kayla awesome pictures of the troops and thier camps.... and wonderful letters for her scrapbook.

this CHRISTmas season.

UNpolitically correct....and proud of it!!!!!

Friday, December 01, 2006


Tried to do a little Xmas shopping this evening. Had to come home. My old bones just do not like the frigid temps. Not to mention the icy parking lots that I have to navigate cautiously for fear of a broken limb. Then there are the germ infected mobs of angry shoppers. Online shopping is looking better and better.

Here are a couple of my favorites pillows I made. The Naughty/Nice is one pillow with a flip-floppable flap.

I have no breaking news to report this week. We have been very busy with Steve's Mother. She has improved significantly the last few days.... but they tell us that is normal and we should not get our hopes up. They have now given her less than 2 weeks. That is quite an improvement from less than a few hours. All we can do is wait and hope and pray.

24 shopping days left...... .and Good Luck to ya on that.